**Assignment:**
Could you restate only the lines below with the word "beta" in them?
**Excerpt:**
- - -
Record 1
A plane-wave DFT calculation with PBE-GGA was carried out for crystalline DyThTeN2 at its relaxed geometry.

Values from the calculation:
formation energy from raw total energies	-7.1	eV per formula unit
E	-38.94	eV/f.u.

Unit cell a=4.108 b=7.285 c=8.071 alpha=107.48 beta=90.00 gamma=90.00
Element x y z (fractional)
N: 0.250 0.484 0.118
N: 0.250 0.505 0.629
N: 0.750 0.495 0.371
N: 0.750 0.516 0.882
Te: 0.750 0.957 0.253
Te: 0.250 0.043 0.747
Th: 0.750 0.334 0.079
Th: 0.250 0.666 0.921
Dy: 0.250 0.646 0.414
Dy: 0.750 0.354 0.586

Record 2
A plane-wave DFT calculation with PBE-GGA was carried out for crystalline DyYGeRh at its relaxed geometry.

Values from the calculation:
energy of formation	-0.74	eV/atom
energy relative to the lowest polymorph listed for this composition	2.96	kcal/mol of atoms
E	-25.99	eV/f.u.

Unit cell a=4.956 b=4.956 c=4.956 alpha=60.00 beta=60.00 gamma=60.00
Element x y z (fractional)
Y: 0.250 0.250 0.250
Ge: 0.500 0.500 0.500
Dy: 0.750 0.750 0.750
Rh: 0.000 0.000 0.000
- - -
**Outcome:**
Unit cell a=4.108 b=7.285 c=8.071 alpha=107.48 beta=90.00 gamma=90.00
Unit cell a=4.956 b=4.956 c=4.956 alpha=60.00 beta=60.00 gamma=60.00